As mentioned at the end of this post, we are finally beginning to see influential Republicans speak out against the idiocy and un-Americanism of Trump’s Islamophobia.
Today, on CBS’s “Face the Nation,” Sen. Richard Burr (R-N.C.), the chairman of the Senate Intelligence Committee called Trump’s call to ban Muslims from entering the U.S. a “huge mistake” that would fuel terror recruitment in the United States, according to The Hill.
Burr thinks it “sends the wrong message to people that have to be part of our partnership for a solution,” and that it serves as fuel for ISIL recruitment.
Burr also laments the many Muslims who have been killed or injured while working as interpreters alongside our troops in Iraq and Afghanistan. He is concerned about the image projected with Muslim countries and frets about the possible radicalization of those already in our country.
While this is progress, it would have been even more genuine and powerful if Burr was also concerned about the assault on American core values the Trump banality represents.
Original Post:
About three months ago, when Republican presidential candidates questioned the patriotism and integrity of Muslim-Americans, Nevada Senator Harry Reid spoke poignantly and powerfully on the U.S. Senate floor against such divisive and shameful rhetoric.
“In Arlington National Cemetery, there is a white headstone, which, like so many others, marks the final resting place of a courageous service-member who gave his life in combat. This grave belongs to Kareem Khan of New Jersey, who was just twenty years old. Kareem was Muslim,” Reid commenced.
• Attached: calculated crystals:
'''
No. 1
Here is a relaxed structure of CuBSe2 from Materials Project. Energies are from meta-GGA r2SCAN.

Cell: 6.112 6.112 6.112 Å, 128.76 128.76 75.39°
Fractional coordinates of all 8 atoms:
Cu 0.000 0.000 0.000
Cu 0.750 0.250 0.500
B 0.250 0.750 0.500
B 0.500 0.500 0.000
Se 0.171 0.625 0.046
Se 0.375 0.421 0.546
Se 0.579 0.125 0.954
Se 0.875 0.829 0.454

Summary:
The value obtained for the formation energy is -0.186 eV per atom. The spin magnetization comes out at 0.00 μB per formula unit. The calculation puts the calculated density at 5.71 g/cm3. The electronic total energy comes out at -95.12 eV per cell. As for the symmetry: I-42d (122).

No. 2
Here is a relaxed structure of DyB2 from Materials Project. Energies are from meta-GGA r2SCAN.

Cell: 3.295 3.295 3.860 Å, 90.00 90.00 120.00°
Fractional coordinates of all 3 atoms:
Dy 0.000 0.000 0.000
B 0.333 0.667 0.500
B 0.667 0.333 0.500

Summary:
The value obtained for the formation energy is -0.643 eV per atom. The spin magnetization comes out at 0.00 μB per formula unit. The calculation puts the calculated density at 8.43 g/cm3. The electronic total energy comes out at -48.60 eV per cell. As for the symmetry: P6/mmm (191).

No. 3
Here is a relaxed structure of DyB6 from Materials Project. Energies are from meta-GGA r2SCAN.

Cell: 4.084 4.084 4.084 Å, 90.00 90.00 90.00°
Fractional coordinates of all 7 atoms:
Dy 0.000 0.000 0.000
B 0.199 0.500 0.500
B 0.500 0.199 0.500
B 0.500 0.500 0.199
B 0.500 0.500 0.801
B 0.500 0.801 0.500
'''
Then he spoke about the patriotism and “Americanism” of this Muslim-American:
Kareem’s rank was that of Specialist in the Stryker Brigade of the U.S. Army’s 2nd Infantry division. By all accounts, he was a good soldier. He received a Purple Heart, Bronze Star and a medal for good conduct. Tragedy struck on August 6, 2007, as Kareem and three others were checking abandoned Iraqi houses for explosives, a hidden bomb exploded, killing all four soldiers. Like thousands of other soldiers in Iraq and Afghanistan, Kareem Khan sacrificed everything for his country. Kareem gave, as President Abraham Lincoln said, “the last full measure of devotion” for the United States.
Reid then riled against how “a Republican candidate for President denigrated Kareem Khan and all Muslim-Americans.” That candidate was Ben Carson who “questioned Muslim-Americans devotion to the United States. He questioned their integrity. And then Ben Carson unilaterally disqualified every Muslim-American from becoming President of the United States.”
Reid concluded:
I call upon every Republican to denounce Ben Carson’s disgusting remarks. That shameful intolerance and bigotry should have no place in America today. Sadly, it seems to have a lasting place in the Republican Party. Republicans should open their eyes and take note of the contributions of our country’s Muslim community. Until they do, none of them will be worthy of leading this nation.
Apparently that message has fallen upon deaf ears, because less than three months later, another Republican presidential candidate has picked up the mantle of hate and bigotry with even more zealotry, even more hate — even more forebodingly and alarmingly.
Today, the leading Republican presidential candidate, Donald Trump, is raising the level and intensity of bigotry, intolerance and especially of Islamophobia by calling for barring all Muslims from entering the United States. This un-American, unconstitutional and unconscionable dog whistle follows on the heels of calls for establishing surveillance on mosques, compiling a database for all Muslims living in the U.S. and other similar reprehensible measures.
But also today, yet another white headstone at Arlington National Cemetery cries out against the profanities of a man who never served.
The headstone marks the final resting place of Muslim-American U.S. Army Captain Humayun S. M. Khan.
Captain Khan was killed in Iraq on June 8, 2004.
The Department of Defense news release at the time simply said:
The Department of Defense announced today the death of a soldier supporting Operation Iraqi Freedom.
Captain Humayun S. M. Khan, 27, of Bristow, Virginia, died June 8, 2004, in Baquabah, Iraq, after a vehicle packed with an improvised explosive device drove into the gate of his compound while he was inspecting soldiers on guard duty. Khan was assigned to Headquarters, Headquarters Company, 201st Forward Support Battalion, 1st Infantry Division, Vilseck, Germany.
A June 16, 2004, Washington Post report added:
On June 8, Khan died in a suicide car bombing at the main gates of his base. Khan, an ordnance officer with the Germany-based 201st Forward Support Battalion, 1st Infantry Division, had watched as several of his soldiers prepared to do a routine vehicle inspection. His unit was charged with the day-to-day security and maintenance of the camp.
When an orange-colored taxi drove toward them, Khan ordered his soldiers to “hit the dirt,” said his father, who received details of his son’s death from his commanding officer.
Khan walked toward the car, motioning for it to stop, his father said. A makeshift bomb inside it exploded, killing him and two Iraqi civilians in addition to the two suicide bombers. Ten soldiers and six Iraqi citizens were also wounded, the Army said.
Buried with full military honors, Khan was posthumously awarded a Bronze Star and a Purple Heart.
At the time, Khan’s father, Khizr M. Khan, proud of his son’s courage, but devastated by his death, said, “Where did his strength come from to face such a danger instead of hiding behind a pole or booth or something?”
Now, in the face of Trump’s appalling hate and bigotry, Captain Khan’s father, speaking to Vocative, remembers his son’s bravery. Referring to his son’s courageous but fatal last steps 11 years ago, he says:
We still wonder what made him [Humayun] take those 10 steps [towards the car]. Maybe that’s the point where all the values, all the service to country, all the things he learned in this country kicked in. It was those values that made him take those 10 steps. Those 10 steps told us we did not make a mistake in moving to this country. These were the values we wanted to adopt. Not religious values, human values.
Those values that he learned throughout his life came together and made him a brave American soldier. This country is not strong because of its economic power, or military power. This country is strong because of its values, and during this political season, we all need to keep that in mind.
Khan also said, “Muslims are American, Muslims are citizens, Muslims participate in the well-being of this country as American citizens. We are proud American citizens. It’s the values of this country that brought us here, not our religion. Trump’s position on these issues do not represent those values.”
The responses from American Muslims have been inspiring and gratifying, and their stories are the best weapons we have to fight Donald Trump exclusionary propaganda and remind his bigoted base that “real” Americans come from all nations, are of all colors and all faiths – and they have all put their lives on the line to ensure that opportunistic blowhards like Trump have the freedom to say the things he does.
But we are also — finally — beginning to see similar “inspiring and gratifying” responses from influential Republicans.
For example, Sen. Jeff Flake, R-Ariz., on Friday told the congregation at a north Scottsdale mosque, “We are a better country than has been on display this week…My hope and prayer today is that the isolated voices calling for division are overwhelmed by the chorus of voices, like those in this room today, calling for acceptance, for tolerance and inclusion.”
Read more here.